Excerpt:
1.
A relaxed structure of FeCuRh4Se8. Source: the Materials Project, functional PBE.

abc: 7.361 7.361 7.361
angles: 60.00 60.00 60.00
Sites, in units of the cell vectors:
1 Se 0.367 0.367 0.899
2 Se 0.367 0.367 0.367
3 Se 0.886 0.343 0.886
4 Se 0.886 0.886 0.343
5 Se 0.367 0.899 0.367
6 Se 0.899 0.367 0.367
7 Se 0.886 0.886 0.886
8 Se 0.343 0.886 0.886
9 Fe 0.500 0.500 0.500
10 Rh 0.628 0.124 0.124
11 Rh 0.124 0.628 0.124
12 Rh 0.124 0.124 0.628
13 Rh 0.124 0.124 0.124
14 Cu 0.750 0.750 0.750

=====

2.
A relaxed structure of FeCu2S2. Source: the Materials Project, functional PBE.

abc: 7.647 7.647 7.647
angles: 60.00 60.00 60.00
Sites, in units of the cell vectors:
1 S 0.503 0.997 0.997
2 S 0.500 0.500 0.500
3 S 0.997 0.503 0.997
4 S 0.997 0.503 0.503
5 S 0.503 0.997 0.503
6 S 0.000 0.000 0.000
7 S 0.997 0.997 0.503
8 S 0.503 0.503 0.997
9 Cu 0.619 0.144 0.619
10 Cu 0.130 0.609 0.130
11 Cu 0.130 0.130 0.130
12 Cu 0.609 0.130 0.130
13 Cu 0.130 0.130 0.609
14 Cu 0.619 0.619 0.144
15 Cu 0.619 0.619 0.619
16 Cu 0.144 0.619 0.619
17 Fe 0.875 0.875 0.376
18 Fe 0.875 0.376 0.875
19 Fe 0.376 0.875 0.875
20 Fe 0.875 0.875 0.875

=====

3.
A relaxed structure of FeCu5S4. Source: the Materials Project, functional PBE.

abc: 3.806 6.629 6.758
angles: 70.66 90.00 90.00
Sites, in units of the cell vectors:
1 Cu 0.000 0.613 0.142
2 Cu 0.500 0.127 0.132
3 Cu 0.500 0.367 0.405
4 Cu 0.000 0.389 0.859
5 Cu 0.500 0.872 0.861
6 Fe 0.000 0.868 0.385
7 S 0.000 0.994 0.013
8 S 0.000 0.503 0.508
9 S 0.500 0.498 0.004
10 S 0.500 0.997 0.507

=====

4.
A relaxed structure of FeCu3S8. Source: the Materials Project, functional PBE.

abc: 5.701 5.692 12.791
angles: 64.06 90.00 90.00
Sites, in units of the cell vectors:
1 Cu 0.000 0.500 0.000
2 Cu 0.503 0.251 0.251
3 Cu 0.997 0.251 0.751
4 Cu 0.003 0.749 0.249
5 Cu 0.500 0.500 0.500
6 Cu 0.497 0.749 0.749
7 S 0.403 0.572 0.049
8 S 0.404 0.091 0.811
9 S 0.596 0.909 0.189
10 S 0.097 0.572 0.549
11 S 0.397 0.599 0.300
12 S 0.897 0.401 0.200
13 S 0.879 0.950 0.951
14 S 0.096 0.091 0.311
15 S 0.103 0.599 0.800
16 S 0.121 0.050 0.049
17 S 0.621 0.950 0.451
18 S 0.904 0.909 0.689
19 S 0.379 0.050 0.549
20 S 0.597 0.428 0.951
21 S 0.603 0.401 0.700
22 S 0.903 0.428 0.451
23 Fe 0.500 0.000 0.000
24 Fe 0.000 0.000 0.500

=====

5.
A relaxed structure of FeCu2S2. Source: the Materials Project, functional PBE.

abc: 7.639 7.639 7.639
angles: 60.00 60.00 60.00
Sites, in units of the cell vectors:
1 Cu 0.880 0.880 0.880
2 Cu 0.609 0.130 0.130
3 Cu 0.130 0.609 0.130
4 Cu 0.880 0.880 0.361
5 Cu 0.880 0.361 0.880
6 Cu 0.130 0.130 0.609
7 Cu 0.361 0.880 0.880
8 Cu 0.130 0.130 0.130
9 S 0.744 0.256 0.744
10 S 0.250 0.250 0.250
11 S 0.750 0.750 0.750
12 S 0.744 0.256 0.256
13 S 0.744 0.744 0.256
14 S 0.256 0.744 0.744
15 S 0.256 0.256 0.744
16 S 0.256 0.744 0.256
17 Fe 0.127 0.624 0.624
18 Fe 0.624 0.624 0.127
19 Fe 0.624 0.127 0.624
20 Fe 0.624 0.624 0.624

=====

6.
A relaxed structure of Fe4Cu2S7. Source: the Materials Project, functional PBE.

abc: 5.120 8.276 11.708
angles: 90.00 90.00 90.00
Sites, in units of the cell vectors:
1 Cu 0.511 0.000 0.227
2 Cu 0.989 0.000 0.227
3 Cu 0.489 0.000 0.773
4 Cu 0.011 0.000 0.773
5 S 0.250 0.785 0.162
6 S 0.750 0.500 0.621
7 S 0.250 0.000 0.945
8 S 0.750 0.215 0.838
9 S 0.750 0.191 0.366
10 S 0.250 0.500 0.379
11 S 0.750 0.500 0.168
12 S 0.750 0.809 0.366
13 S 0.250 0.191 0.634
14 S 0.250 0.809 0.634
15 S 0.750 0.785 0.838
16 S 0.750 0.000 0.055
17 S 0.250 0.215 0.162
18 S 0.250 0.500 0.832
19 Fe 0.500 0.653 0.272
20 Fe 0.500 0.347 0.728
21 Fe 0.000 0.347 0.728
22 Fe 0.500 0.347 0.272
23 Fe 0.000 0.653 0.272
24 Fe 0.000 0.653 0.728
25 Fe 0.500 0.653 0.728
26 Fe 0.000 0.347 0.272

=====

7.
A relaxed structure of FeCu3S8. Source: the Materials Project, functional PBE.

abc: 5.697 5.697 5.697
angles: 89.50 89.50 89.50
Sites, in units of the cell vectors:
1 Cu 0.000 0.500 0.500
2 Cu 0.500 0.500 0.000
3 Cu 0.500 0.000 0.500
4 S 0.602 0.602 0.602
5 S 0.398 0.398 0.398

Request:
Now reproduce the data further up from the line with "angles: 70.66" to the end with every line break kept.

Reply:
angles: 70.66 90.00 90.00
Sites, in units of the cell vectors:
1 Cu 0.000 0.613 0.142
2 Cu 0.500 0.127 0.132
3 Cu 0.500 0.367 0.405
4 Cu 0.000 0.389 0.859
5 Cu 0.500 0.872 0.861
6 Fe 0.000 0.868 0.385
7 S 0.000 0.994 0.013
8 S 0.000 0.503 0.508
9 S 0.500 0.498 0.004
10 S 0.500 0.997 0.507

=====

4.
A relaxed structure of FeCu3S8. Source: the Materials Project, functional PBE.

abc: 5.701 5.692 12.791
angles: 64.06 90.00 90.00
Sites, in units of the cell vectors:
1 Cu 0.000 0.500 0.000
2 Cu 0.503 0.251 0.251
3 Cu 0.997 0.251 0.751
4 Cu 0.003 0.749 0.249
5 Cu 0.500 0.500 0.500
6 Cu 0.497 0.749 0.749
7 S 0.403 0.572 0.049
8 S 0.404 0.091 0.811
9 S 0.596 0.909 0.189
10 S 0.097 0.572 0.549
11 S 0.397 0.599 0.300
12 S 0.897 0.401 0.200
13 S 0.879 0.950 0.951
14 S 0.096 0.091 0.311
15 S 0.103 0.599 0.800
16 S 0.121 0.050 0.049
17 S 0.621 0.950 0.451
18 S 0.904 0.909 0.689
19 S 0.379 0.050 0.549
20 S 0.597 0.428 0.951
21 S 0.603 0.401 0.700
22 S 0.903 0.428 0.451
23 Fe 0.500 0.000 0.000
24 Fe 0.000 0.000 0.500

=====

5.
A relaxed structure of FeCu2S2. Source: the Materials Project, functional PBE.

abc: 7.639 7.639 7.639
angles: 60.00 60.00 60.00
Sites, in units of the cell vectors:
1 Cu 0.880 0.880 0.880
2 Cu 0.609 0.130 0.130
3 Cu 0.130 0.609 0.130
4 Cu 0.880 0.880 0.361
5 Cu 0.880 0.361 0.880
6 Cu 0.130 0.130 0.609
7 Cu 0.361 0.880 0.880
8 Cu 0.130 0.130 0.130
9 S 0.744 0.256 0.744
10 S 0.250 0.250 0.250
11 S 0.750 0.750 0.750
12 S 0.744 0.256 0.256
13 S 0.744 0.744 0.256
14 S 0.256 0.744 0.744
15 S 0.256 0.256 0.744
16 S 0.256 0.744 0.256
17 Fe 0.127 0.624 0.624
18 Fe 0.624 0.624 0.127
19 Fe 0.624 0.127 0.624
20 Fe 0.624 0.624 0.624

=====

6.
A relaxed structure of Fe4Cu2S7. Source: the Materials Project, functional PBE.

abc: 5.120 8.276 11.708
angles: 90.00 90.00 90.00
Sites, in units of the cell vectors:
1 Cu 0.511 0.000 0.227
2 Cu 0.989 0.000 0.227
3 Cu 0.489 0.000 0.773
4 Cu 0.011 0.000 0.773
5 S 0.250 0.785 0.162
6 S 0.750 0.500 0.621
7 S 0.250 0.000 0.945
8 S 0.750 0.215 0.838
9 S 0.750 0.191 0.366
10 S 0.250 0.500 0.379
11 S 0.750 0.500 0.168
12 S 0.750 0.809 0.366
13 S 0.250 0.191 0.634
14 S 0.250 0.809 0.634
15 S 0.750 0.785 0.838
16 S 0.750 0.000 0.055
17 S 0.250 0.215 0.162
18 S 0.250 0.500 0.832
19 Fe 0.500 0.653 0.272
20 Fe 0.500 0.347 0.728
21 Fe 0.000 0.347 0.728
22 Fe 0.500 0.347 0.272
23 Fe 0.000 0.653 0.272
24 Fe 0.000 0.653 0.728
25 Fe 0.500 0.653 0.728
26 Fe 0.000 0.347 0.272

=====

7.
A relaxed structure of FeCu3S8. Source: the Materials Project, functional PBE.

abc: 5.697 5.697 5.697
angles: 89.50 89.50 89.50
Sites, in units of the cell vectors:
1 Cu 0.000 0.500 0.500
2 Cu 0.500 0.500 0.000
3 Cu 0.500 0.000 0.500
4 S 0.602 0.602 0.602
5 S 0.398 0.398 0.398